How do we stop him?
How do we stop him?
He has been reduced to writing furry erotica about our vice president (for kids).
I think we can safely ignore him.
Turn off the TV
>damage control
The problem will solve itself. The get my news from comedy types have no traction and can't hold up in debate. After his bullshit gets old in a couple more years, nobody will care.
This. He is only powerful if it gets a reaction.
He blew us the fuck out pretty bad, in all honesty
Stop him from what he won't change the president.
All he will do it's say unfunny things in a british accent.
Who cares other than lefty pol eternally trying to drive wedges between whites.
How Iranian or Slavic do you think OP is
He's proof that not everything said in an English accent sounds smarter.
Pre Sup Forums I used to find him funny
Post Sup Forums I realized I was supposed to just laugh and not question what he was saying.
Sorry America we seem to be exporting all our least funny people to your shores.
TURN OFF THE TV??? IN 2018??? COME ON!!!
I'm European spanish
How will I ever recover?
Yes if only you had sent funny walk man instead
How about you Trump-loving retards stop being wrong about everything on the planet and stop being so easy to male fun of?
lmao nah
These late shows aren't comedy.
Its very serious propaganda. Its Pavlovian programming
>right wing belief
>"isn't this a stupid idea? SHAME ON THEM"
>cue laugh track, change subject
>new right wing belief
>"two scoops??"
>cue laugh track, change subject
Its training people to subconsciously associate phrases with negative and positive feelings. Its literal brain programming.
Which one kek.
Honestly we did have funny people once, but then PC took hold and there were certain things that automatically ceased to be comic and became hateful instead.
Book him an appointment with a dentist.
Time stops almost everything. In twenty years no one will remember him, let alone fifty years.
yes he did,fellow 1488er,now let us abandon our principles and be on our merry way. kys faggot
Pull his teeth out one by one without anesthetic on live television.
it's also the only way to propagandize the faux-aloof So Totally Above It All types who need to be kept up to date on the current year while "not even like, trying maaan"
I have a hard time understanding how all the leftist mascots can bloviate anymore without a feeling of deep personal shame.
These are some of the fucks who smugly, unequically informed their dull-witted audiences that Trump would *never* get nominated, and *never* win a general election:
Rotten-toothed limey John Oliver
Deformed ear Stephen Colbert
Serial predator Tom Hanks
-- begin --
1.
# LiTm4ScS8

Crystalline LiTm4ScS8 at its relaxed geometry (PBE-GGA, Alexandria via LeMat-Bulk).

Properties
Formation energy (no corrections)   -1944 meV/atom

a = 7.7952 Å, b = 7.7952 Å, c = 7.7952 Å
α = 60.71°, β = 60.71°, γ = 60.71°
Positions (direct):
Li1 0.0000 0.0000 0.0000
Tm1 0.1119 0.6297 0.6297
Tm2 0.2483 0.2483 0.2483
Tm3 0.6297 0.1119 0.6297
Tm4 0.6297 0.6297 0.1119
Sc1 0.6318 0.6318 0.6318
S1 0.3831 0.3831 0.3831
S2 0.3889 0.3889 0.8463
S3 0.3889 0.8463 0.3889
S4 0.3974 0.8625 0.8625
S5 0.8463 0.3889 0.3889
S6 0.8625 0.3974 0.8625
S7 0.8625 0.8625 0.3974
S8 0.8694 0.8694 0.8694


2.
# LiIn2Ge2

Crystalline LiIn2Ge2 at its relaxed geometry (PBE-GGA, Alexandria via LeMat-Bulk).

Properties
ΔE_f   54 kJ/mol of formula units

a = 6.7675 Å, b = 6.7675 Å, c = 6.7675 Å
α = 139.71°, β = 139.71°, γ = 58.29°
Positions (direct):
Li1 0.0000 0.0000 0.0000
In1 0.3817 0.3817 0.0000
In2 0.6183 0.6183 0.0000
Ge1 0.2500 0.7500 0.5000
Ge2 0.7500 0.2500 0.5000


3.
# Al2Sb2P

Crystalline Al2Sb2P at its relaxed geometry (PBE-GGA, Alexandria via LeMat-Bulk).

Properties
Formation energy (no corrections)   581 meV/atom

a = 6.5076 Å, b = 6.5076 Å, c = 6.5076 Å
α = 138.17°, β = 138.17°, γ = 60.65°
Positions (direct):
Al1 0.1085 0.1085 0.0000
Al2 0.8915 0.8915 0.0000
Sb1 0.2500 0.7500 0.5000
Sb2 0.7500 0.2500 0.5000
P1 0.5000 0.5000 0.0000


4.
# TaZn2As

Crystalline TaZn2As at its relaxed geometry (PBE-GGA, Alexandria via LeMat-Bulk).

Properties
ΔE_f   -41 kJ/mol of formula units

a = 3.3972 Å, b = 3.3972 Å, c = 5.6369 Å
α = 90.00°, β = 90.00°, γ = 90.00°
Positions (direct):
Ta1 0.0000 0.0000 0.0000
Zn1 0.0000 0.0000 0.4991
Zn2 0.5000 0.5000 0.2866
As1 0.5000 0.5000 0.7891


5.
# LaMg2GaN

Crystalline LaMg2GaN at its relaxed geometry (PBE-GGA, Alexandria via LeMat-Bulk).

Properties
Energy above the lowest structure with this stoichiometry   94 meV per atom
Formation energy (no corrections)   -519 meV/atom

a = 4.3954 Å, b = 4.3954 Å, c = 5.0335 Å
α = 90.00°, β = 90.00°, γ = 90.00°
Positions (direct):
La1 0.0000 0.0000 0.0000
Mg1 0.0000 0.5000 0.5000
Mg2 0.5000 0.0000 0.5000
Ga1 0.5000 0.5000 0.0000
N1 0.0000 0.0000 0.5000


6.
# MgBi

Crystalline MgBi at its relaxed geometry (PBE-GGA, Alexandria via LeMat-Bulk).

Properties
ΔE_f   -18 kJ/mol of formula units

a = 4.8271 Å, b = 4.8271 Å, c = 4.8271 Å
α = 47.58°, β = 47.58°, γ = 47.58°
Positions (direct):
Mg1 0.0000 0.0000 0.0000
Bi1 0.5000 0.5000 0.5000


7.
# Pr2TmNb

Crystalline Pr2TmNb at its relaxed geometry (PBE-GGA, Alexandria via LeMat-Bulk).

Properties
ΔE_f   225 kJ/mol of formula units

a = 11.9534 Å, b = 11.9534 Å, c = 11.9534 Å
α = 16.19°, β = 16.19°, γ = 16.19°
Positions (direct):
Pr1 0.0829 0.0829 0.0829
Pr2 0.9171 0.9171 0.9171
Tm1 0.5000 0.5000 0.5000
Nb1 0.0000 0.0000 0.0000


8.
# SrLi4Br6

Crystalline SrLi4Br6 at its relaxed geometry (PBE-GGA, Alexandria via LeMat-Bulk).

Properties
Formation energy (no corrections)   -1672 meV/atom

a = 6.8544 Å, b = 6.8544 Å, c = 20.0135 Å
-- stop --
Closeted faggot George Clooney
Senile Nancy Pelosi
Affirmative action president Barry Obama.
It takes a special kind of psychosis to go back to bat after so thoroughly humiliating yourself with your public foolishness.
Cancel your cable and turn the fucking TV off.
Share his nudes
The man is the poster child for the Leftwing hateful asshole.
Why would you want to stop him? I couldn't make a more tragic character of a left wing jackass if I tried.
Thanks, I didn't want to sleep anyway